== File ==
/*
(1)
H4N4 | the ωB97M-V functional and the def2-TZVPD basis

Positions of all 8 atoms, in Å:
N: -0.108 0.318 1.241
N: -0.743 -1.021 -0.460
N: 0.940 0.481 -0.646
N: -0.039 -0.098 -0.032
H: -1.071 0.465 1.756
H: -0.571 -1.213 -1.522
H: 0.453 1.092 1.182
H: 1.138 -0.024 -1.519

Results
- Net charge: 0
- E_HOMO: -9.0 eV
- LUMO level: 1.065 eV



(2)
C29H54O27 | the ωB97M-V functional and the def2-TZVPD basis

Positions of all 110 atoms, in Å:
C: 3.467 4.556 1.303
C: 2.080 4.029 0.944
C: 1.081 3.847 2.095
O: 0.180 4.919 1.999
C: 0.351 5.436 0.784
O: -0.319 6.294 0.213
O: 1.322 4.802 0.154
H: 3.947 4.504 0.333
H: 3.878 3.962 2.180
H: 3.299 5.585 1.640
H: 2.231 3.075 0.391
H: 1.586 3.809 3.070
H: 0.780 2.793 2.233
C: -3.695 2.598 2.936
C: -2.126 2.522 3.042
C: -1.560 3.089 4.381
O: -0.358 2.338 4.558
C: -0.543 1.172 3.962
O: 0.104 0.165 4.255
O: -1.564 1.255 3.121
H: -3.990 3.645 2.722
H: -4.131 2.236 3.830
H: -4.049 1.978 2.088
H: -1.710 3.028 2.202
H: -2.362 2.960 5.152
H: -1.403 4.183 4.427
C: -1.951 0.168 0.373
O: -1.149 -0.189 -0.727
C: 0.134 0.371 -0.765
O: 0.640 1.081 0.329
O: 0.713 0.262 -1.937
C: 1.950 0.990 -2.197
H: -1.706 -0.461 1.241
H: -2.983 0.078 0.084
H: -1.853 1.145 0.743
H: 2.162 0.819 -3.228
H: 2.761 0.513 -1.692
H: 1.824 1.987 -1.816
C: -2.139 -1.718 -4.053
O: -1.688 -3.050 -3.659
C: -2.351 -3.699 -2.641
O: -3.336 -3.125 -1.777
O: -1.912 -4.962 -2.496
C: -2.228 -5.507 -1.317
H: -3.250 -1.535 -4.245
H: -1.659 -1.688 -5.074
H: -1.839 -0.795 -3.446
H: -2.040 -4.886 -0.338
H: -1.607 -6.351 -1.100
H: -3.310 -5.826 -1.273
C: 8.934 -2.143 0.858
O: 7.559 -2.008 1.066
C: 6.847 -2.108 0.009
O: 7.389 -2.580 -1.207
O: 5.531 -1.879 0.128
C: 4.820 -1.630 -1.092
H: 9.338 -3.063 0.387
H: 9.548 -1.865 1.744
H: 9.286 -1.334 0.187
H: 4.532 -2.596 -1.570
H: 5.428 -1.041 -1.790
H: 3.857 -1.178 -0.837
C: -0.334 -2.698 1.847
O: -0.279 -3.117 0.537
C: 0.714 -2.857 -0.267
O: 1.868 -2.123 0.206
O: 0.579 -3.408 -1.442
C: 1.609 -3.248 -2.405
H: -0.198 -1.608 1.984
H: 0.478 -3.091 2.427
H: -1.397 -2.846 2.215
H: 1.270 -2.942 -3.319
H: 2.041 -4.201 -2.726
H: 2.408 -2.611 -2.042
C: -5.239 0.461 -2.271
O: -4.107 1.077 -2.839
C: -3.375 1.915 -2.131
O: -3.813 2.448 -0.852
O: -2.132 2.181 -2.525
C: -1.369 3.312 -2.180
H: -5.180 -0.627 -2.345
H: -6.051 0.713 -2.893
H: -5.437 0.631 -1.216
H: -1.379 4.098 -2.974
H: -0.340 2.961 -2.099
H: -1.568 3.707 -1.202
C: -8.582 -3.442 -1.905
O: -7.287 -3.366 -1.333
C: -6.925 -2.379 -0.578
O: -7.720 -1.250 -0.256
O: -5.761 -2.553 -0.223
C: -5.136 -1.765 0.772
H: -9.224 -2.578 -1.716
H: -9.149 -4.273 -1.460
H: -8.453 -3.599 -3.058
H: -4.135 -1.975 0.883
H: -5.688 -2.136 1.652
H: -5.400 -0.673 0.687
C: 3.083 0.467 2.165
O: 4.534 0.520 2.196
C: 5.153 0.938 1.115
O: 4.500 1.388 -0.024
O: 6.475 1.135 1.386
C: 7.371 1.644 0.431
H: 2.585 0.237 3.051
H: 2.711 -0.301 1.502
H: 2.642 1.439 1.782
H: 6.877 2.389 -0.118
H: 7.850 0.942 -0.318
H: 8.161 2.088 0.991

Results
- Structure (SMILES): C[C@H]1COC(=O)O1.C[C@H]1COC(=O)O1.COC(=O)OC.COC(=O)OC.COC(=O)OC.COC(=O)OC.COC(=O)OC.COC(=O)OC.COC(=O)OC
- Net charge: 0
- E_HOMO: -9.9 eV
- LUMO level: 0.501 eV



(3)
C26H27BrGeILiN2O2Te | the ωB97M-V functional and the def2-TZVPD basis

Positions of all 62 atoms, in Å:
Li: -1.379 -0.779 -0.426
O: -0.082 2.700 -0.633
C: -0.710 1.659 -0.773
O: -0.238 0.492 -0.881
C: -2.229 1.749 -0.820
C: -2.846 2.994 -0.873
C: -4.224 3.049 -0.966
C: -4.929 1.854 -0.974
C: -4.226 0.666 -0.871
N: -2.905 0.604 -0.801
H: -2.221 3.873 -0.849
H: -4.742 3.994 -1.032
H: -6.006 1.841 -1.041
H: -4.748 -0.280 -0.848
C: -4.296 -3.365 -0.900
Te: -2.165 -3.457 -0.555
C: -2.416 -3.802 1.553
H: -4.760 -2.610 -0.274
H: -4.739 -4.331 -0.679
H: -4.475 -3.126 -1.944
H: -3.080 -4.646 1.700
H: -2.834 -2.922 2.025
H: -1.454 -4.026 1.998
Ge: 2.676 -0.617 -1.108
C: 2.908 0.551 -2.670
C: 2.445 1.855 -2.739
C: 2.728 2.634 -3.847
C: 3.453 2.116 -4.905
C: 3.933 0.818 -4.835
C: 3.672 0.049 -3.717
C: 2.765 0.139 0.702
C: 3.581 -0.500 1.628
C: 3.755 0.024 2.896
C: 3.123 1.204 3.253
*/

== To do ==
Find the line above that holds "-1.905", then type out that line and all lines after it there.

== Response ==
C: -8.582 -3.442 -1.905
O: -7.287 -3.366 -1.333
C: -6.925 -2.379 -0.578
O: -7.720 -1.250 -0.256
O: -5.761 -2.553 -0.223
C: -5.136 -1.765 0.772
H: -9.224 -2.578 -1.716
H: -9.149 -4.273 -1.460
H: -8.453 -3.599 -3.058
H: -4.135 -1.975 0.883
H: -5.688 -2.136 1.652
H: -5.400 -0.673 0.687
C: 3.083 0.467 2.165
O: 4.534 0.520 2.196
C: 5.153 0.938 1.115
O: 4.500 1.388 -0.024
O: 6.475 1.135 1.386
C: 7.371 1.644 0.431
H: 2.585 0.237 3.051
H: 2.711 -0.301 1.502
H: 2.642 1.439 1.782
H: 6.877 2.389 -0.118
H: 7.850 0.942 -0.318
H: 8.161 2.088 0.991

Results
- Structure (SMILES): C[C@H]1COC(=O)O1.C[C@H]1COC(=O)O1.COC(=O)OC.COC(=O)OC.COC(=O)OC.COC(=O)OC.COC(=O)OC.COC(=O)OC.COC(=O)OC
- Net charge: 0
- E_HOMO: -9.9 eV
- LUMO level: 0.501 eV



(3)
C26H27BrGeILiN2O2Te | the ωB97M-V functional and the def2-TZVPD basis

Positions of all 62 atoms, in Å:
Li: -1.379 -0.779 -0.426
O: -0.082 2.700 -0.633
C: -0.710 1.659 -0.773
O: -0.238 0.492 -0.881
C: -2.229 1.749 -0.820
C: -2.846 2.994 -0.873
C: -4.224 3.049 -0.966
C: -4.929 1.854 -0.974
C: -4.226 0.666 -0.871
N: -2.905 0.604 -0.801
H: -2.221 3.873 -0.849
H: -4.742 3.994 -1.032
H: -6.006 1.841 -1.041
H: -4.748 -0.280 -0.848
C: -4.296 -3.365 -0.900
Te: -2.165 -3.457 -0.555
C: -2.416 -3.802 1.553
H: -4.760 -2.610 -0.274
H: -4.739 -4.331 -0.679
H: -4.475 -3.126 -1.944
H: -3.080 -4.646 1.700
H: -2.834 -2.922 2.025
H: -1.454 -4.026 1.998
Ge: 2.676 -0.617 -1.108
C: 2.908 0.551 -2.670
C: 2.445 1.855 -2.739
C: 2.728 2.634 -3.847
C: 3.453 2.116 -4.905
C: 3.933 0.818 -4.835
C: 3.672 0.049 -3.717
C: 2.765 0.139 0.702
C: 3.581 -0.500 1.628
C: 3.755 0.024 2.896
C: 3.123 1.204 3.253